何伊娜 使这颗晶莹剔透的琥珀之都享誉世界的还有那古老而优秀的波兰音乐文化。伟大的浪漫主义音乐家肖邦正是诞生在这里。
Crystal structures that have nothing to do with the article =
+++
# SrCu2Ge2

A relaxed SrCu2Ge2 crystal (meta-GGA r2SCAN, Materials Project).

Properties
* energy: -133.109 eV/cell
* ΔE_f: -394 meV per atom

a = 4.2425 Å, b = 4.2425 Å, c = 10.2334 Å
α = 90.00°, β = 90.00°, γ = 90.00°
Closest atoms and distances in Å follow each position.
Fractional coordinates of all 10 atoms:
Sr 0.0000 0.0000 0.0000  8 Ge 3.27, 8 Cu 3.32
Sr 0.5000 0.5000 0.5000  8 Ge 3.27, 8 Cu 3.32
Cu 0.0000 0.5000 0.2500  4 Ge 2.47
Cu 0.0000 0.5000 0.7500  4 Ge 2.47
Cu 0.5000 0.0000 0.2500  4 Ge 2.47
Cu 0.5000 0.0000 0.7500  4 Ge 2.47
Ge 0.0000 0.0000 0.3730  4 Cu 2.47, 1 Ge 2.60
Ge 0.0000 0.0000 0.6270  4 Cu 2.47, 1 Ge 2.60
Ge 0.5000 0.5000 0.1270  4 Cu 2.47, 1 Ge 2.60
Ge 0.5000 0.5000 0.8730  4 Cu 2.47, 1 Ge 2.60

# BeCr2O4

A relaxed BeCr2O4 crystal (meta-GGA r2SCAN, Materials Project).

Properties
* energy: -306.197 eV/cell
* ΔE_f: -2596 meV per atom

a = 9.8114 Å, b = 5.7084 Å, c = 4.5422 Å
α = 90.00°, β = 90.00°, γ = 90.00°
Closest atoms and distances in Å follow each position.
Fractional coordinates of all 28 atoms:
Be 0.0930 0.2500 0.0693  4 O 1.58-1.67
Be 0.4070 0.7500 0.5693  4 O 1.58-1.67
Be 0.5930 0.2500 0.4307  4 O 1.58-1.67
Be 0.9070 0.7500 0.9307  4 O 1.58-1.67
Cr 0.0000 0.0000 0.5000  6 O 1.97-2.00
Cr 0.0000 0.5000 0.5000  6 O 1.97-2.00
Cr 0.2303 0.7500 0.0026  6 O 1.97-2.05
Cr 0.2697 0.2500 0.5026  6 O 1.97-2.05
Cr 0.5000 0.0000 0.0000  6 O 1.97-2.00
Cr 0.5000 0.5000 0.0000  6 O 1.97-2.00
Cr 0.7303 0.7500 0.4974  6 O 1.97-2.05
Cr 0.7697 0.2500 0.9974  6 O 1.97-2.05
O 0.0604 0.7500 0.7704  1 Be 1.67
O 0.0923 0.2500 0.7225  1 Be 1.58
O 0.1634 0.0231 0.2397  1 Be 1.66
O 0.1634 0.4769 0.2397  1 Be 1.66
O 0.3366 0.5231 0.7397  1 Be 1.66
O 0.3366 0.9769 0.7397  1 Be 1.66
O 0.4077 0.7500 0.2225  1 Be 1.58
O 0.4396 0.2500 0.2704  1 Be 1.67
O 0.5604 0.7500 0.7296  1 Be 1.67
O 0.5923 0.2500 0.7775  1 Be 1.58
O 0.6634 0.0231 0.2603  1 Be 1.66
O 0.6634 0.4769 0.2603  1 Be 1.66
O 0.8366 0.5231 0.7603  1 Be 1.66
O 0.8366 0.9769 0.7603  1 Be 1.66
O 0.9077 0.7500 0.2775  1 Be 1.58
O 0.9396 0.2500 0.2296  1 Be 1.67

# VOF

A relaxed VOF crystal (meta-GGA r2SCAN, Materials Project).

Properties
* energy: -191.839 eV/cell
* ΔE_f: -2928 meV per atom

a = 9.2455 Å, b = 4.6332 Å, c = 4.5979 Å
α = 90.00°, β = 90.00°, γ = 90.00°
Closest atoms and distances in Å follow each position.
Fractional coordinates of all 18 atoms:
V 0.0000 0.2315 0.0000  3 O 1.85-1.92
V 0.1671 0.7223 0.4270  3 O 1.87-1.97, 2 F 2.06-2.07
V 0.3329 0.2777 0.9270  3 O 1.87-1.97, 2 F 2.06-2.07
V 0.5000 0.7685 0.5000  3 O 1.85-1.92
V 0.6671 0.2777 0.9270  3 O 1.87-1.97, 2 F 2.06-2.07
V 0.8329 0.7223 0.4270  3 O 1.87-1.97, 2 F 2.06-2.07
O 0.0000 0.9281 0.2618  3 V 1.85-1.97
O 0.1663 0.4324 0.1447  3 V 1.87-1.97
O 0.3337 0.5676 0.6447  3 V 1.87-1.97
O 0.5000 0.0719 0.7618  3 V 1.85-1.97
O 0.6663 0.5676 0.6447  3 V 1.87-1.97
O 0.8337 0.4324 0.1447  3 V 1.87-1.97
F 0.0000 0.5218 0.6498  3 V 2.07-2.10
F 0.1663 0.0440 0.7467  3 V 2.06-2.12
F 0.3337 0.9560 0.2467  3 V 2.06-2.12
+++
4月12日、13日19:30,波兰著名青年钢琴家亚历山德拉·希维古特(Aleksandra ?wigut)将携“波兰亚历山德拉·希维古特钢琴独奏音乐会”莅临哈尔滨老会堂音乐厅,连续两天为冰城热爱音乐的人们带来两场钢琴的音乐盛宴。精彩难得,热爱音乐的你千万不要错过!
时 间:2017年4月12日、13日 19:30
地 点:哈尔滨老会堂音乐厅
票 价:20元/40元/60元/80元
亚历山德拉·希维古特(Aleksandra ?wigut)个人简介
青年钢琴家亚历山德拉·希维古特(Aleksandra ?wigut)出生于毗邻波兰华沙的新世界区,2011年至2013年她师从于肖邦音乐大学的彼得·帕雷奇尼(Piotr Paleczny)教授。在这之前亚历山德拉毕业于波兰卡托维兹卡罗尔·希曼诺夫斯基音乐学院,跟随沃柴克·史维塔瓦(Wojciech ?wita?a)和玛利亚·什瓦伊戈尔-库瓦科夫斯卡(Maria Szwajger-Ku?akowska)学习。与此同时,她还在卡托维兹音乐学院的卡塔日娜·德罗歌什(Katarzyna Drogosz)指导的班级学习古钢琴演奏,并于2014年在华沙肖邦国家音乐学校马乌戈扎塔·撒尔巴克(Ma?gorzata Sarbak)指导的班级完成羽管键琴的学习。亚历山德拉同时也曾在伦敦市政厅音乐学院跟随大卫·多兰(David Dolan)学习。2016年起,她正式成为波兰格但斯克音乐学院的博士生。除此以外,她本人也经常参加著名音乐家的大师班,比如罗伯特·莱文(Robert Levin), 马莱克·莫西(Marek Mo?), 马切伊·戈日波夫斯基(Maciej Grzybowski), 马尔康姆·比尔森(Malcolm Bilson) 和克里斯蒂娜·绍恩谢姆( Christine Schornsheim)。
Pianist Aleksandra ?wigut was born in Nowy S?cz. From 2011 to 2013 she studied with Prof. Piotr Paleczny at the Fryderyk Chopin University of Music in Warsaw. She graduated from the Karol Szymanowski Academy of Music in Katowice under Prof. Wojciech ?wita?a and Prof. Maria Szwajger-Ku?akowska. During the same time she also studied historical piano performance in the class of Katarzyna Drogosz at the Academy of Music in Katowice, and in 2014 she graduated in harpsichord in the class of Ma?gorzata Sarbak at the Fryderyk Chopin State Music School in Warsaw. he also studied at the Guildhall School of Music and Drama in London under David Dolan. Since 2016 she has been a doctoral student at the Academy of Music in Gdańsk. She took part in master classes led by some eminent musicians, including Robert Levin, Marek Mo吕帅希 ?, Maciej Grzybowski, Malcolm Bilson and Christine Schornsheim.
The artist has taken part in international and national piano competitions; the most important prizes she has won include 2nd prize at the International Competition for Young Pianists in Ettlingen and 2nd Prize at the New Orleans International Piano Competition, as well as 2nd prize and a special prize at the International Piano Competition for Young Musicians in Enschede. ?wigut has received a special award for the performance of a piece of a Polish composer and a special award of the Radio Gdańsk at the 4th International Baltic Piano Competition, 2ndaward at the 47th Fryderyk Chopin National Piano Competition and a special award for a solo performance of Robert Schumann’s piece.
**These data records were left in the entry by mistake:**
'''
No. 1
An optimized crystal structure of PrH20S4N5O16. Source: the Materials Project, functional PBE-GGA.

a = 12.3046 Å, b = 12.3046 Å, c = 9.4471 Å
α = 83.77°, β = 83.77°, γ = 140.71°
Sites, in units of the cell vectors:
S 0.1018 0.2253 0.6302
S 0.5297 0.8821 0.0847
S 0.8821 0.5297 0.5847
S 0.1147 0.4691 0.9216
S 0.4691 0.1147 0.4216
S 0.7761 0.8994 0.3726
S 0.8994 0.7761 0.8726
S 0.2253 0.1018 0.1302
O 0.0263 0.6786 0.6449
O 0.8679 0.6507 0.9783
O 0.3968 0.1513 0.5132
O 0.6017 0.8454 0.9915
O 0.9714 0.3233 0.8601
O 0.9557 0.5003 0.4830
O 0.6507 0.8679 0.4783
O 0.1723 0.1561 0.0432
O 0.0656 0.9064 0.2199
O 0.5054 0.0489 0.5222
O 0.6786 0.0263 0.1449
O 0.7926 0.6922 0.7632
O 0.2020 0.3013 0.7447
O 0.5003 0.9557 0.9830
O 0.3605 0.7187 0.2023
O 0.3582 0.1420 0.0252
O 0.1513 0.3968 0.0132
O 0.8297 0.8452 0.4590
O 0.0929 0.9368 0.7777
O 0.7187 0.3605 0.7023
O 0.1561 0.1723 0.5432
O 0.3013 0.2020 0.2447
O 0.9368 0.0929 0.2777
O 0.1420 0.3582 0.5252
O 0.6922 0.7926 0.2632
O 0.6386 0.2803 0.3027
O 0.2803 0.6386 0.8027
O 0.8454 0.6017 0.4915
O 0.8452 0.8297 0.9590
O 0.0489 0.5054 0.0222
O 0.9064 0.0656 0.7199
O 0.3233 0.9714 0.3601
N 0.3036 0.7040 0.5104
N 0.3243 0.4552 0.2280
N 0.7040 0.3036 0.0104
N 0.8832 0.2792 0.3139
N 0.2792 0.8832 0.8139
N 0.4552 0.3243 0.7280
N 0.7235 0.1201 0.6915
N 0.6715 0.5430 0.2744
N 0.1201 0.7235 0.1915
N 0.5430 0.6715 0.7744
H 0.2153 0.6940 0.4923
H 0.8290 0.2511 0.6932
H 0.6574 0.2747 0.1252
H 0.7234 0.5423 0.3536
H 0.8875 0.3364 0.3900
H 0.9150 0.2243 0.3426
H 0.4144 0.5408 0.7924
H 0.6940 0.2153 0.9923
H 0.4175 0.2531 0.8355
H 0.3622 0.3128 0.7256
H 0.6337 0.6801 0.7791
H 0.3364 0.8875 0.8900
H 0.5408 0.4144 0.2924
H 0.6289 0.2916 0.9560
H 0.1094 0.6638 0.1145
H 0.2916 0.6289 0.4560
H 0.1782 0.7570 0.8012
H 0.2531 0.4175 0.3355
H 0.0428 0.6305 0.2991
H 0.8359 0.4328 0.9719
H 0.2511 0.8290 0.1932
H 0.6801 0.6337 0.2791
H 0.4535 0.2696 0.6505
H 0.2243 0.9150 0.8426
H 0.2696 0.4535 0.1505
H 0.4560 0.5838 0.2056
H 0.9703 0.3758 0.2085
H 0.2747 0.6574 0.6252
H 0.6638 0.1094 0.6145
H 0.4328 0.8359 0.4719
H 0.3758 0.9703 0.7085
H 0.5838 0.4560 0.7056
H 0.7477 0.5856 0.1676
H 0.6305 0.0428 0.7991
H 0.3128 0.3622 0.2256
H 0.5856 0.7477 0.6676
H 0.7570 0.1782 0.3012
H 0.5423 0.7234 0.8536
H 0.7732 0.0815 0.6712
H 0.0815 0.7732 0.1712
Pr 0.9233 0.0748 0.0018
Pr 0.0748 0.9233 0.5018

Summary:
- Space group: Cc, No. 9
- Offset from the most stable computed form: 0.000 eV per atom
- Energy: -520.1 eV/cell
- Spin magnetization: 0.0 μB/cell

***

No. 2
An optimized crystal structure of Ca3CuN3. Source: the Materials Project, functional PBE-GGA.

a = 7.1895 Å, b = 7.1847 Å, c = 5.0233 Å
α = 90.00°, β = 90.00°, γ = 119.98°
Sites, in units of the cell vectors:
Ca 0.0726 0.3571 0.7500
Ca 0.3570 0.2844 0.2500
Ca 0.2848 0.9270 0.7500
Ca 0.6430 0.7156 0.7500
Ca 0.7152 0.0730 0.2500
Ca 0.9274 0.6429 0.2500
N 0.3038 0.9134 0.2500
N 0.9136 0.6095 0.7500
N 0.0864 0.3905 0.2500
N 0.6962 0.0866 0.7500
N 0.3911 0.3043 0.7500
N 0.6089 0.6957 0.2500
'''
亚历山德拉的兴趣不仅仅是20世纪作品的演奏也特别钟爱演奏古典作品,其中包括巴洛克风、古典主义和浪漫主义的曲子,比如奥利维埃·梅西安、贝拉·巴托克、乔治·克拉姆、捷尔吉·利盖蒂、亨利·戈莱茨基和卡尔海因茨·施托克豪森等人作品她都十分喜爱。同时她也是室内乐演奏家,曾同大提琴音乐家马尔钦·兹杜尼克(Marcin Zdunik)一起录制舒曼作品CD,并由波兰弗雷德里克·肖邦研究院于2014年出版。此外她还协同自己的姐姐潮流英语 ,小提琴家阿格涅什卡组成二重奏。阿格涅什卡曾经和罗兹爱乐乐团、波德拉谢歌剧院和爱乐交响团,弗雷德里克·肖邦大学交响乐团、荷兰交响团、利亚帕亚交响团、奥克索室内乐团和贝多芬音乐学院交响团等众多乐团合作。
_Between two parts of the article: data records_
(1)
## Ce5C2Br9 (PBE-GGA)

Data for an optimized crystal structure of Ce5C2Br9.

Output
SG ... Pnma
ΔH_f (0 K) ... -1.798 eV per atom

abc: 11.2844 9.9155 16.5803
angles: 90.00 90.00 90.00
Fractional coordinates of all 64 atoms:
1 Ce 0.0368 0.2500 0.0641
2 Ce 0.0715 0.2500 0.8408
3 Ce 0.1363 0.7500 0.6494
4 Ce 0.1906 0.5476 0.4505
5 Ce 0.1906 0.9524 0.4505
6 Ce 0.3094 0.0476 0.9505
7 Ce 0.3094 0.4524 0.9505
8 Ce 0.3637 0.2500 0.1494
9 Ce 0.4285 0.7500 0.3408
10 Ce 0.4632 0.7500 0.5641
11 Ce 0.5368 0.2500 0.4359
12 Ce 0.5715 0.2500 0.6592
13 Ce 0.6363 0.7500 0.8506
14 Ce 0.6906 0.5476 0.0495
15 Ce 0.6906 0.9524 0.0495
16 Ce 0.8094 0.0476 0.5495
17 Ce 0.8094 0.4524 0.5495
18 Ce 0.8637 0.2500 0.3506
19 Ce 0.9285 0.7500 0.1592
20 Ce 0.9632 0.7500 0.9359
21 C 0.1812 0.2500 0.9571
22 C 0.2453 0.7500 0.5292
23 C 0.2547 0.2500 0.0292
24 C 0.3188 0.7500 0.4571
25 C 0.6812 0.2500 0.5429
26 C 0.7453 0.7500 0.9708
27 C 0.7547 0.2500 0.4708
28 C 0.8188 0.7500 0.0429
29 Br 0.0685 0.0343 0.6117
30 Br 0.0685 0.4657 0.6117
31 Br 0.1134 0.2500 0.4409
32 Br 0.1139 0.5723 0.0611
33 Br 0.1139 0.9277 0.0611
34 Br 0.1280 0.2500 0.2282
35 Br 0.1352 0.5514 0.8247
36 Br 0.1352 0.9486 0.8247
37 Br 0.1608 0.7500 0.2888
38 Br 0.3392 0.2500 0.7888
39 Br 0.3648 0.0514 0.3247
40 Br 0.3648 0.4486 0.3247
41 Br 0.3720 0.7500 0.7282
42 Br 0.3861 0.0723 0.5611
43 Br 0.3861 0.4277 0.5611
44 Br 0.3866 0.7500 0.9409
45 Br 0.4315 0.5343 0.1117
46 Br 0.4315 0.9657 0.1117
47 Br 0.5685 0.0343 0.8883
48 Br 0.5685 0.4657 0.8883
49 Br 0.6134 0.2500 0.0591
50 Br 0.6139 0.5723 0.4389
51 Br 0.6139 0.9277 0.4389
52 Br 0.6280 0.2500 0.2718
53 Br 0.6352 0.5514 0.6753
54 Br 0.6352 0.9486 0.6753
55 Br 0.6608 0.7500 0.2112
56 Br 0.8392 0.2500 0.7112
57 Br 0.8648 0.0514 0.1753
58 Br 0.8648 0.4486 0.1753
59 Br 0.8720 0.7500 0.7718
60 Br 0.8861 0.0723 0.9389
61 Br 0.8861 0.4277 0.9389
62 Br 0.8866 0.7500 0.5591
63 Br 0.9315 0.5343 0.3883
64 Br 0.9315 0.9657 0.3883


(2)
## CaZnO3 (PBE-GGA)

Data for an optimized crystal structure of CaZnO3.

Output
SG ... Pm-3m
ΔH_f (0 K) ... -1.802 eV per atom

abc: 3.8766 3.8766 3.8766
angles: 90.00 90.00 90.00
Fractional coordinates of all 5 atoms:
1 Ca 0.0000 0.0000 0.0000
2 Zn 0.5000 0.5000 0.5000
3 O 0.0000 0.5000 0.5000
4 O 0.5000 0.0000 0.5000
5 O 0.5000 0.5000 0.0000


- Which of these has the lowest ΔH_f (0 K)?
  CaZnO3


- What is the ΔH_f (0 K) in the first record?
?wigut’s interests encompass both historical performance and 20th-century and contemporary music. In addition to Baroque, Classicist and Romantic works脏话阿七 , her repertoire includes compositions by O. Messiaen, B. Bartók, G. Crumb, G. Ligeti, A. Sch死亡占卜2 ?nberg, H. M. Górecki, and K. Stockhausen. She is also active as a chamber musician, working with cellist Marcin Zdunik, with whom she recorded a Robert Schumann album released by the Fryderyk Chopin Institute (2014). She also performs in duo with her sister, violinist Agnieszka ?wigut. Aleksandra ?wigut has given concerts with the ?ód? Philharmonic, Podlasie Opera and Philharmonic Orchestra, Symphony Orchestra of the Fryderyk Chopin University of Music in Warsaw, Netherlands Symphony, Liepāja Symphony, AUKSO Chamber Orchestra, and the Beethoven Academy Orchestra.
Aleksandra ?wigut was a scholarship holder of the National Fund for Children in Warsaw (2003-2010). She received multiple scholarships from the Ministry of Culture and National Heritage, as well as from the “Sapere Auso” Ma?opolska Scholarship Foundation. In 2010, she received the Franciszek Wybrańczyk Artistic Scholarship; and in 2012, a scholarship from the Jütting Foundation in Germany.
Aleksandra ?wigut is represented by the Ludwig van Beethoven Association.
每周一、三、五、六 13:00-19:30